Female job applicants expected to soar in Saudi Arabia

Male-dominated sectors in Saudi Arabia are set to see a boost in female applicants when women are allowed to drive next year.
At present, Saudi Arabia lags other GCC countries in terms of female workforce participation.
But the balance is set to shift as women take advantage of new opportunities generated by greater mobility and flexibility in their lifestyles.
“Often you find a disconnect between job opportunities and access with women sometimes unable to compete for roles due to the challenges of getting to work and back. Greater mobility will balance market access between the genders,” said Hala Kudwah financial services consulting leader at PwC in Saudi Arabia.
The move will tap into the wealth of female talent waiting in the wings, empowering educated women to join the labour force and contribute to the growth of the economy.
“Overnight this has created a huge segment of mobile women which will certainly accelerate economic reform in Saudi and attract more business investment,” Kudwah said.
She estimated that between two to three million women would be empowered to join the workforce, contributing to a major change in consumption patterns across the Kingdom as money previously allocated to paying for drivers or taxis is channelled towards retail, entertainment and other fields being targeted for growth in the Vision 2030.
## Inserted here: molecular data
'''
1.
Here is a structure of composition C26H50InNP3S from OMol25. Energies are from ωB97M-V/def2-TZVPD.

Computed properties:
lowest unoccupied orbital energy	-10.109	eV
relative energy (zero: lowest compared OMol25 entry of this formula, charge and spin)	131.3	kJ/mol
Kohn-Sham gap	4.5	eV
net charge	+3

Structure (XYZ):
```
82
Properties=species:S:1:pos:R:3:forces:R:3:mulliken_charge:R:1
In -0.48483 -0.35295 -0.56637 -3.0 -1.2 -1.7 0.932
S -1.86132 -2.00177 -2.11550 0.1 1.0 1.9 -0.131
P 2.49963 1.46760 0.77068 0.3 0.5 -0.2 1.168
P 0.22757 1.09217 -2.76049 0.4 -0.3 -0.8 0.672
P -2.04818 1.75951 0.01600 -0.6 0.2 -0.1 0.908
N -0.03241 -0.72091 3.75040 0.3 0.4 -0.8 0.490
C 0.12266 -3.03998 -3.67268 -0.6 0.5 0.0 -0.477
C 0.96978 2.76187 -2.80344 0.0 0.2 0.4 -1.429
C -1.31986 -0.71785 4.49683 -0.4 0.1 0.4 -0.757
C -2.44667 1.81746 1.79396 -0.1 0.1 0.2 -1.021
C 2.35020 3.25346 0.76939 -0.4 0.2 0.0 -1.249
C 1.32964 0.15422 -3.87104 0.4 -0.3 0.3 -1.316
C -1.71852 -1.48792 1.00168 0.9 0.3 1.1 0.759
C 1.05421 -5.15021 -0.51322 -0.7 -0.1 -0.3 -0.545
C -3.07897 -1.63458 0.74215 -0.4 0.1 -0.5 0.291
C -3.85803 -2.57618 1.43289 0.2 0.3 0.0 -0.960
C -1.18644 -2.18873 2.08435 0.2 -0.8 -0.1 -0.739
C 0.06072 -2.94238 -6.08569 -0.1 0.0 0.0 -0.523
C 3.23605 0.96881 2.32330 -0.1 -0.3 0.3 -1.108
C -1.12603 -2.38308 -3.61596 0.9 -0.2 -1.9 0.657
C 1.11012 -0.70000 4.70650 0.1 0.1 0.2 -0.960
C -0.26651 -5.34903 -0.65489 0.7 0.3 0.0 -0.299
C -1.28223 1.29602 -3.77333 -0.4 0.0 0.4 -1.090
C -1.92752 -3.22067 2.69948 0.1 0.4 0.1 -0.632
C -1.53011 3.47479 -0.32692 0.0 0.2 0.1 -1.279
C -3.68615 1.64626 -0.78750 -0.1 0.1 -0.1 -1.396
C 0.13252 -1.85056 2.70324 0.0 -0.3 0.2 -0.854
C -1.81012 -2.08613 -4.82003 0.4 0.1 0.8 -0.594
C 0.70952 -3.30821 -4.90221 0.0 0.1 -0.1 -0.629
C -3.27414 -3.38885 2.39862 0.1 -0.2 0.0 -0.908
C -1.20963 -2.35152 -6.04185 0.3 -0.2 -0.1 -0.686
C 3.54343 0.95386 -0.58954 0.0 -0.4 -0.2 -1.100
H -2.79993 -1.63434 -4.75010 0.2 -0.1 -0.2 0.499
H -3.58288 1.27438 -1.81674 -0.1 0.1 0.3 0.257
H -0.98127 1.34294 -4.82890 0.0 0.1 0.3 0.549
H 2.10301 3.63616 -0.22881 0.1 -0.2 0.2 0.318
H -1.26471 0.08557 5.24063 0.0 -0.2 -0.2 0.375
H -4.91965 -2.66558 1.19182 0.4 0.0 0.1 0.473
H 0.88549 -1.48477 1.98809 -0.2 0.0 0.1 0.045
H -3.01702 0.92908 2.09220 0.2 0.2 -0.1 0.230
H 0.97532 0.14671 5.38935 0.1 -0.3 -0.1 0.378
H 1.09418 -1.64090 5.26590 0.1 0.2 -0.1 0.406
H 3.30679 3.68477 1.09182 -0.1 -0.1 -0.1 0.476
H 2.05335 -0.60235 4.16277 -0.3 -0.2 0.2 0.331
H -3.86616 -4.13587 2.93247 0.2 0.2 -0.3 0.495
H 1.18939 0.86476 0.62211 0.9 0.5 0.3 -0.537
H 0.37907 3.47360 -2.21536 0.2 -0.1 -0.2 0.250
H -3.04701 2.71668 1.99596 0.1 -0.3 0.0 0.604
H 1.45501 -4.60984 0.35139 -0.1 -0.3 -0.2 0.194
H -0.69382 -5.84514 -1.53462 0.2 0.1 0.5 0.267
H -4.33838 0.96255 -0.22794 0.2 0.2 -0.2 0.450
H 2.09041 0.82310 -4.29616 -0.2 -0.1 0.1 0.612
H 3.14173 1.27364 -1.55950 0.1 0.0 0.3 0.214
H -1.95639 0.44058 -3.63770 0.2 0.1 0.0 0.011
H -1.44169 -3.85280 3.45248 -0.3 0.3 -0.2 0.540
'''
## End of the molecular data
“The economic impact will over time be sizable given that it will address mobility issues for more than half of the country's population. It will allow women to be more dynamically engaged,” said John Sfakianakis, director of economic research at the Gulf Research Center in Riyadh.
Saudi Arabia aims to increase the level of women’s participation in the workforce from 22 per cent to 30 per cent, according to Vision 2030.
The number of national women joining the workforce has seen a dramatic increase, official data shows. Based on figures from the Ministry of Labour and Social Development in March, the number of Saudi women working in the private sector has increased by 130 per cent in the last four years.
Ian Giulianotti, director at Dubai-headquartered firm Nadia Recruitment said he expects Saudi Arabia to become a more attractive place to work, for both men and women.
“This decree means it will now be a lot easier for the wives of expat workers to live in Saudi as they will be more mobile. Expat living will be easier,” he said.
Maha Ghalib, a 36-year-old corporate marketing manager from Jeddah, said women have been waiting “years” for the new driving law and she anticipates that the effect on the national economy and the mobility of female workers will be considerable.
“We never thought we’d see this in our lifetime,” she said. “It is an economic decision. It will open up the economy and it will make it easier for families where both the husband and wife work — the husband will no longer need to drop his wife off first.”